The Born Freelancer on basic recording on a budget 101 – Part 1
This series of posts by the Born Freelancer shares personal experiences and thoughts on issues relevant to freelancers. Have something to add to the conversation? Your input is welcome in the comments.
Here the article breaks off for records of crystals:
~~~
Record 1
Density functional theory data (GGA-PBE) for a relaxed structure of CsZnHgSb2.

Cell and atoms, written as extended XYZ:
```
5
Lattice="7.681 0.000 0.000 0.000 7.681 0.000 0.000 0.000 7.943" Properties=species:S:1:pos:R:3 pbc="T T T"
Cs 0.000 0.000 0.000
Zn 0.000 0.000 3.971
Hg 3.840 3.840 3.971
Sb 0.000 3.840 0.000
Sb 3.840 0.000 0.000
```

Summary:
uncorrected formation energy	0.964	eV/atom
space-group type	P4/mmm, No. 123


Record 2
Density functional theory data (GGA-PBE) for a relaxed structure of CsScHg2.

Cell and atoms, written as extended XYZ:
```
16
Lattice="6.153 0.000 0.000 0.000 6.153 0.000 0.000 0.000 19.276" Properties=species:S:1:pos:R:3 pbc="T T T"
Cs 0.000 0.000 0.000
Cs 0.000 3.077 4.819
Cs 3.077 0.000 14.457
Cs 3.077 3.077 9.638
Sc 0.000 0.000 9.638
Sc 0.000 3.077 14.457
Sc 3.077 0.000 4.819
Sc 3.077 3.077 0.000
Hg 0.124 1.538 12.048
Hg 1.538 3.201 16.867
Hg 1.538 6.030 7.229
Hg 2.953 1.538 2.410
Hg 3.201 4.615 2.410
Hg 4.615 0.124 7.229
Hg 4.615 2.953 16.867
Hg 6.030 4.615 12.048
```

Summary:
ΔE_f	0.168	eV/atom
ΔE to the lowest computed polymorph	322.8	meV per atom
space-group type	I-42d, No. 122


Record 3
Density functional theory data (GGA-PBE) for a relaxed structure of Cs2ScHg.

Cell and atoms, written as extended XYZ:
```
16
Lattice="13.950 0.000 0.000 0.000 13.950 0.000 0.000 0.000 5.540" Properties=species:S:1:pos:R:3 pbc="T T T"
Cs 1.270 10.462 0.692
Cs 3.487 1.270 4.847
Cs 3.487 5.705 2.077
Cs 5.705 10.462 3.462
Cs 8.245 3.487 3.462
Cs 10.462 8.245 2.077
Cs 10.462 12.680 4.847
Cs 12.680 3.487 0.692
Sc 0.000 0.000 2.770
Sc 0.000 6.975 4.155
Sc 6.975 0.000 1.385
Sc 6.975 6.975 0.000
Hg 0.000 0.000 0.000
Hg 0.000 6.975 1.385
Hg 6.975 0.000 4.155
Hg 6.975 6.975 2.770
```

Summary:
ΔE_f	0.374	eV/atom
space-group type	I-42d, No. 122


Record 4
Density functional theory data (GGA-PBE) for a relaxed structure of Cs2ScHg2.

Cell and atoms, written as extended XYZ:
```
10
Lattice="7.908 0.000 0.000 0.000 7.908 0.000 0.000 0.000 6.453" Properties=species:S:1:pos:R:3 pbc="T T T"
Cs 1.380 2.574 0.000
Cs 2.574 6.529 0.000
Cs 5.334 1.380 0.000
Cs 6.529 5.334 0.000
Sc 0.000 0.000 3.227
Sc 3.954 3.954 3.227
Hg 1.128 5.082 3.227
Hg 2.826 1.128 3.227
Hg 5.082 6.780 3.227
Hg 6.780 2.826 3.227
```

Summary:
ΔE_f	0.111	eV/atom
space-group type	P4/mbm, No. 127


Record 5
Density functional theory data (GGA-PBE) for a relaxed structure of CsScHg3.

Cell and atoms, written as extended XYZ:
```
5
Lattice="6.579 0.000 0.000 0.000 6.579 0.000 0.000 0.000 6.579" Properties=species:S:1:pos:R:3 pbc="T T T"
Cs 0.000 0.000 0.000
Sc 3.289 3.289 3.289
Hg 0.000 0.000 3.289
Hg 0.000 3.289 0.000
Hg 3.289 0.000 0.000
```

Summary:
ΔE_f	0.754	eV/atom
ΔE to the lowest computed polymorph	799.4	meV per atom
space-group type	Pm-3m, No. 221


Record 6
Density functional theory data (GGA-PBE) for a relaxed structure of CsScHg2.

Cell and atoms, written as extended XYZ:
```
16
~~~
Over a year ago in my very first post for you I discussed the gear I use for recording phone interviews. What I meant to write immediately afterwards were several posts with tips about recording in general. It’s taken a little longer than I expected to get around to it but this is finally the first in that mini-series.
Whether you are interviewing for print or broadcast, a good clean audible recording is essential for every working journalist. And since we freelancers are entirely responsible for choosing and acquiring our own resource tools, it makes sense to find and maintain a ready-to-go basic, reliable, and cost-effective recording system.
........
w.
{"formula": "CsTaPb2", "functional": "PBE-GGA", "state": "relaxed", "lattice": [[5.588, 0.000, 0.000], [2.794, 4.839, 0.000], [2.794, 1.613, 4.562]], "species": ["Pb", "Pb", "Cs", "Ta"], "fractional_positions": [[0.250, 0.250, 0.250], [0.750, 0.750, 0.750], [0.000, 0.000, 0.000], [0.500, 0.500, 0.500]], "sg": "Fm-3m, No. 225"}

=====

x.
{"formula": "CsTaPb2", "functional": "PBE-GGA", "state": "relaxed", "lattice": [[-3.694, -3.259, -5.196], [5.967, -0.504, -3.925], [2.755, -9.119, -1.172]], "species": ["Pb", "Pb", "Pb", "Pb", "Cs", "Cs", "Ta", "Ta"], "fractional_positions": [[0.872, 0.125, 0.250], [0.878, 0.625, 0.250], [0.375, 0.128, 0.750], [0.875, 0.122, 0.750], [0.500, 0.500, 0.000], [0.250, 0.750, 0.500], [0.000, 0.000, 0.000], [0.750, 0.250, 0.500]], "sg": "I-42d, No. 122"}

=====

Energetically preferred structure: x | next structure: +421 meV/atom

=====

w.
{"formula": "CsTbPb2", "functional": "PBE-GGA", "state": "relaxed", "lattice": [[3.845, 0.000, 0.000], [1.923, 3.330, 0.000], [1.923, 1.110, 11.402]], "species": ["Pb", "Pb", "Cs", "Tb"], "fractional_positions": [[0.740, 0.740, 0.781], [0.260, 0.260, 0.219], [0.500, 0.500, 0.500], [0.000, 0.000, 0.000]], "sg": "R-3m, No. 166"}

=====

x.
{"formula": "CsTbPb2", "functional": "PBE-GGA", "state": "relaxed", "lattice": [[4.179, 0.000, 0.000], [0.000, 4.179, 0.000], [0.000, 0.000, 8.641]], "species": ["Pb", "Pb", "Cs", "Tb"], "fractional_positions": [[0.000, 0.000, 0.821], [0.000, 0.000, 0.179], [0.500, 0.500, 0.500], [0.500, 0.500, 0.000]], "sg": "P4/mmm, No. 123"}

=====

Energetically preferred structure: x | next structure: +181 meV/atom


# 1
An optimized crystal structure of BaTaTl2, computed with GGA-PBE.

Results
**DFT formation energy**: 49 kJ per mole of atoms

Cell lengths 3.352, 4.867, 7.568 Å; angles 90.00, 90.00, 90.00 degrees
Space group Pmm2 (No. 25)
Unique sites:
Ba1 0.000 0.000 0.000 (multiplicity 1)
Ta1 0.000 0.500 0.587 (multiplicity 1)
Tl1 0.500 0.000 0.593 (multiplicity 1)
Tl2 0.500 0.500 0.268 (multiplicity 1)

# 2
An optimized crystal structure of BaNp2SeO4, computed with GGA-PBE.

Results
**Total DFT energy (no corrections)**: -71.46 eV for the cell shown

Cell lengths 3.904, 3.904, 9.520 Å; angles 90.00, 90.00, 90.00 degrees
Space group P4/mmm (No. 123)
Unique sites:
Ba1 0.000 0.000 0.000 (multiplicity 1)
Np1 0.500 0.500 0.299 (multiplicity 2)
Se1 0.000 0.000 0.500 (multiplicity 1)
O1 0.000 0.500 0.198 (multiplicity 4)

# 3
An optimized crystal structure of ZrHgI4, computed with GGA-PBE.

Results
**Total DFT energy (no corrections)**: -77.79 eV for the cell shown

Cell lengths 11.322, 16.433, 7.173 Å; angles 90.00, 111.95, 90.00 degrees
Space group C2/c (No. 15)
Unique sites:
Zr1 0.000 0.083 0.250 (multiplicity 4)
Hg1 0.000 0.456 0.750 (multiplicity 4)
I1 0.154 0.057 0.671 (multiplicity 8)
I2 0.171 0.191 0.206 (multiplicity 8)

# 4
An optimized crystal structure of SnAsSe2F, computed with GGA-PBE.

Results
**E above lowest polymorph**: 0 meV/atom
........
So much for the calculated crystals:
Up to just a few years ago when I was busy recording interviews and raw audio for my freelance work at CBC Radio, the equipment I used was still a hybrid of analogue and digital technologies. (When I first started freelancing in radio the technology was entirely analogue – but that’s another story for another time.) Therefore, like me, many of you may still have access to some older electronic recording gear, either in your own collection or else hand-me-downs from your more affluent non-freelancer friends! Fear not, for it can still be successfully integrated into the brave new digital world if required. You need not recklessly spend on unnecessary new toys to achieve broadcast-quality sound.
The great news today is that you no longer need to buy expensive recording gear expressly designed for that task. (Feel free to do so if you can afford it and want to, of course.) If you have a computer you can record on it. If you have a laptop you can record on it on location. And since you are reading this, I figure one of the two (or both) must apply to you.
So – the first step – what software should I use to record?
There are many options and many ways to go. Some quite expensive. Since I am trying to cut through the forest of options and simplify the process for you, let me give you my number one personal recommendation.
I use a free software called “Audacity”.
It is basic, simple to use, works on either Mac or PC platforms and allows you to record, edit and then transform (or “export”) your finished recording into an MP3 file, playable on most digital devices.
And did you get the part in which I said it was “free”? There’s nothing we freelancers enjoy more than getting something for nothing. It’s in our nature and in our very name. And unlike most freebies, this one has no apparent strings attached. I have found it to be reliable software which has given me years of solid performance. I use it on a Mac but I assume its Windows counterpart is equally dependable.
Audacity does have its limitations. But what do you expect for “free”? Audacity is not a multitrack recording system (beyond its two basic left and right channel tracks) so it’s really only ideal for spoken word interviews, live off-the-floor recordings, and archiving online streamed audio. Editing on it is relatively easy and you will be up and running it successfully in an hour or so.
If you already use more powerful, more expensive software you may not like Audacity as much as those of us who began our digital lives with it at home. I’m sure if I’d begun driving a sports car and suddenly tried to switch to a motor scooter I’d probably not be too pleased with it either. But if you’ve only walked all your life, a motor scooter isn’t so bad (especially when it’s free!) This post is designed for freelancers on a strict budget. Potentially expensive and consequently more powerful multitrack software is a topic for another day.
You can find Audacity for downloading, at no cost, here.
There’s also a book out on working with Audacity called “The Book of Audacity” which is available from No Starch Press and looks very helpful in further exploring its creative possibilities.
! CdSb (PBE, relaxed); values from VASP
! * crystal system: cubic
! * formation energy (no corrections): 0.298 eV/atom
! * raw total energy: -2.22 eV/atom
! * offset from the most stable computed form: 66 kJ/mol of formula units
&SYSTEM
  ibrav = 0, nat = 8, ntyp = 2
/
ATOMIC_SPECIES
Cd 112.41 Cd.upf
Sb 121.76 Sb.upf
CELL_PARAMETERS angstrom
-4.4914 4.4914 4.4914
4.4914 -4.4914 4.4914
4.4914 4.4914 -4.4914
ATOMIC_POSITIONS crystal
Cd 0.0000 0.0000 0.6733
Cd 0.0000 0.6733 0.0000
Cd 0.3267 0.3267 0.3267
Cd 0.6733 0.0000 0.0000
Sb 0.0000 0.0000 0.3190
Sb 0.0000 0.3190 0.0000
Sb 0.3190 0.0000 0.0000
Sb 0.6810 0.6810 0.6810

! Cd5Sb4 (PBE, relaxed); values from VASP
! * crystal system: tetragonal
! * formation energy (no corrections): 0.139 eV/atom
! * raw total energy: -2.20 eV/atom
! * offset from the most stable computed form: 23 kJ/mol of formula units
&SYSTEM
  ibrav = 0, nat = 9, ntyp = 2
/
ATOMIC_SPECIES
Cd 112.41 Cd.upf
Sb 121.76 Sb.upf
CELL_PARAMETERS angstrom
-4.8857 4.8857 2.3820
4.8857 -4.8857 2.3820
4.8857 4.8857 -2.3820
ATOMIC_POSITIONS crystal
Cd 0.0000 0.0000 0.0000
Cd 0.3370 0.3370 0.6739
Cd 0.3370 0.6630 0.0000
Cd 0.6630 0.3370 0.0000
Cd 0.6630 0.6630 0.3261
Sb 0.0000 0.3246 0.3246
Sb 0.0000 0.6754 0.6754
Sb 0.3246 0.0000 0.3246
Sb 0.6754 0.0000 0.6754

! CdSb3 (PBE, relaxed); values from VASP
! * crystal system: cubic
! * formation energy (no corrections): 0.192 eV/atom
! * raw total energy: -3.13 eV/atom
! * offset from the most stable computed form: 52 kJ/mol of formula units
&SYSTEM
  ibrav = 0, nat = 4, ntyp = 2
/
ATOMIC_SPECIES
Cd 112.41 Cd.upf
Sb 121.76 Sb.upf
CELL_PARAMETERS angstrom
0.0000 3.7663 3.7663
3.7663 0.0000 3.7663
3.7663 3.7663 0.0000
ATOMIC_POSITIONS crystal
Cd 0.0000 0.0000 0.0000
Sb 0.2500 0.2500 0.2500
Sb 0.5000 0.5000 0.5000
Sb 0.7500 0.7500 0.7500

! Cd3Sb4 (PBE, relaxed); values from VASP
! * crystal system: hexagonal
! * formation energy (no corrections): 0.226 eV/atom
! * raw total energy: -2.52 eV/atom
&SYSTEM
  ibrav = 0, nat = 7, ntyp = 2
/
ATOMIC_SPECIES
Cd 112.41 Cd.upf
Sb 121.76 Sb.upf
CELL_PARAMETERS angstrom
5.7438 0.0000 0.0000
-2.8719 4.9742 0.0000
0.0000 0.0000 6.4602
ATOMIC_POSITIONS crystal
Cd 0.0000 0.5000 0.0000
Cd 0.5000 0.0000 0.0000
Cd 0.5000 0.5000 0.0000
Sb 0.0000 0.0000 0.2790
Sb 0.0000 0.0000 0.7210
Sb 0.3333 0.6667 0.5000
Sb 0.6667 0.3333 0.5000

----------

(1)
This record from Alexandria via LeMat-Bulk describes a geometry-optimized LaMg3Tc structure. The functional is PBE.

## Properties
polymorph energy (0 for the lowest one) = 1613 meV per atom
calculated formation energy = 1.925 eV/atom
magnetization = 0.553 μB per atom

Cell: 5.8188 5.8188 5.8188 Å, 90.00 90.00 90.00°
Each line ends with the local moment (μB).
Element x y z (fractional)
Mg 0.5000 0.0000 0.0000  -0.04
Mg 0.0000 0.0000 0.5000  0.00
Tc 0.5000 0.5000 0.5000  3.62
La 0.0000 0.0000 0.0000  -0.42
Mg 0.0000 0.5000 0.0000  -0.01

---

(2)
Tomorrow – how to get sound into your computer even if it doesn’t want to go!

on September 4, 2012 at 11:14 am
· Permalink
Thanks for this series…I’m sure I will have some comments and options to add, but I’ll wait until you get into part two!
on September 4, 2012 at 6:56 pm
· Permalink
Great, we’ll look forward to your input, Don! Part two coming tomorrow and part three on Friday.